Exercise.
It remains to work out how many lines underneath have the word "GGA" in them; a number is enough.
Contents.
1.
# Mg2Mn3O8
Computed X-ray powder pattern, Cu Kα (λ = 1.5418 Å). Input: a DFT-relaxed cell (GGA+U, Alexandria).

The 8 most intense peaks (5 to 70 degrees two-theta), sorted by position:
- hkl 0 2 0, d = 5.729 Å, I = 27
- hkl 0 2 1, d = 4.744 Å, I = 100
- hkl 1 3 1, d = 2.994 Å, I = 50
- hkl 0 2 3, d = 2.531 Å, I = 32
- hkl 2 2 1, d = 2.495 Å, I = 69
- hkl 0 0 4, d = 2.116 Å, I = 28
- hkl 2 4 0, d = 2.049 Å, I = 51
- hkl 2 4 4, d = 1.472 Å, I = 50

Cell and atoms:
```
data_Mg2Mn3O8
_chemical_formula_sum 'Mg8 Mn12 O32'
_cell_length_a 5.866
_cell_length_b 11.457
_cell_length_c 8.466
_cell_angle_alpha 90.00
_cell_angle_beta 90.00
_cell_angle_gamma 90.00
_space_group_name_H-M_alt 'C m c e'
_space_group_IT_number 64
_space_group_name_Hall '-C 2ac 2'
loop_
_atom_site_label
_atom_site_type_symbol
_atom_site_fract_x
_atom_site_fract_y
_atom_site_fract_z
_atom_site_occupancy
Mg1 Mg 0.000 0.144 0.104 1
Mn1 Mn 0.000 0.000 0.500 1
Mn2 Mn 0.250 0.120 0.750 1
O1 O 0.000 0.000 0.265 1
O2 O 0.000 0.227 0.761 1
O3 O 0.232 0.114 0.527 1
```

=====

2.
# Mg2Mn9O13
Computed X-ray powder pattern, Cu Kα (λ = 1.5418 Å). Input: a DFT-relaxed cell (GGA+U, Alexandria).

The 8 most intense peaks (5 to 70 degrees two-theta), sorted by position:
- hkl 0 0 2, d = 8.676 Å, I = 61
- hkl 0 1 -5, d = 3.075 Å, I = 38
- hkl 1 -1 1, d = 2.803 Å, I = 49
- hkl 0 1 5, d = 2.682 Å, I = 100
- hkl 1 1 -1, d = 2.614 Å, I = 44
- hkl 1 1 -2, d = 2.585 Å, I = 64
- hkl 0 1 6, d = 2.365 Å, I = 37
- hkl 1 -2 4, d = 1.928 Å, I = 29

Cell and atoms:
```
data_Mg2Mn9O13
_chemical_formula_sum 'Mg2 Mn9 O13'
_cell_length_a 3.230
_cell_length_b 5.118
_cell_length_c 17.583
_cell_angle_alpha 97.87
_cell_angle_beta 94.21
_cell_angle_gamma 95.25
_space_group_name_H-M_alt 'P -1'
_space_group_IT_number 2
_space_group_name_Hall '-P 1'
loop_
_atom_site_label
_atom_site_type_symbol
_atom_site_fract_x
_atom_site_fract_y
_atom_site_fract_z
_atom_site_occupancy
Mg1 Mg 0.085 0.473 0.226 1
Mn1 Mn 0.000 0.000 0.500 1
Mn2 Mn 0.178 0.296 0.040 1
Mn3 Mn 0.299 0.514 0.417 1
Mn4 Mn 0.365 0.992 0.679 1
Mn5 Mn 0.416 0.103 0.871 1
O1 O 0.116 0.226 0.601 1
O2 O 0.138 0.174 0.140 1
O3 O 0.168 0.415 0.937 1
O4 O 0.173 0.272 0.316 1
O5 O 0.363 0.732 0.530 1
O6 O 0.388 0.292 0.773 1
O7 O 0.500 0.000 0.000 1
```

=====

3.
# MgMn4O5
Computed X-ray powder pattern, Cu Kα (λ = 1.5418 Å). Input: a DFT-relaxed cell (GGA+U, Alexandria).

The 8 most intense peaks (5 to 70 degrees two-theta), sorted by position:
- hkl 1 1 0, d = 4.999 Å, I = 4
- hkl 1 0 1, d = 3.774 Å, I = 4
- hkl 2 0 0, d = 3.535 Å, I = 2
- hkl 1 2 1, d = 2.580 Å, I = 54
- hkl 0 0 2, d = 2.234 Å, I = 100
- hkl 3 1 2, d = 1.580 Å, I = 58
- hkl 5 0 1, d = 1.348 Å, I = 14
- hkl 1 2 3, d = 1.346 Å, I = 7

Cell and atoms:
```
data_MgMn4O5
_chemical_formula_sum 'Mg2 Mn8 O10'
_cell_length_a 7.070
_cell_length_b 7.070
_cell_length_c 4.463
_cell_angle_alpha 90.00
_cell_angle_beta 90.00
_cell_angle_gamma 90.00
_space_group_name_H-M_alt 'I 4/m'
_space_group_IT_number 87
_space_group_name_Hall '-I 4'
loop_
_atom_site_label
_atom_site_type_symbol
_atom_site_fract_x
_atom_site_fract_y
_atom_site_fract_z
_atom_site_occupancy
Mg1 Mg 0.000 0.000 0.000 1
Mn1 Mn 0.099 0.701 0.500 1
O1 O 0.000 0.000 0.500 1
O2 O 0.094 0.709 0.000 1
```

=====

4.
# Mg2Mn3O8
Computed X-ray powder pattern, Cu Kα (λ = 1.5418 Å). Input: a DFT-relaxed cell (GGA+U, Alexandria).

The 8 most intense peaks (5 to 70 degrees two-theta), sorted by position:
- hkl 0 0 2, d = 4.737 Å, I = 100
- hkl 1 1 2, d = 2.963 Å, I = 44
- hkl 2 0 2, d = 2.493 Å, I = 20
- hkl 2 1 1, d = 2.442 Å, I = 41
- hkl 2 1 2, d = 2.230 Å, I = 25
- hkl 2 1 3, d = 1.973 Å, I = 32
- hkl 2 1 5, d = 1.516 Å, I = 34
- hkl 2 3 0, d = 1.445 Å, I = 24

Cell and atoms:
```
data_Mg2Mn3O8
_chemical_formula_sum 'Mg4 Mn6 O16'
_cell_length_a 5.864
_cell_length_b 4.984
_cell_length_c 9.474
_cell_angle_alpha 90.00
_cell_angle_beta 90.00
_cell_angle_gamma 90.00
_space_group_name_H-M_alt 'P m n 21'
_space_group_IT_number 31
Here it is.
4